Hutchinson Family of Norwich Vermont

Hutchinson is an old and numerous family in Norwich, as well as in other parts of the country. They were among the early settlers of Massachusetts and were in Lynn and Salem in that colony as early as 1628, or 1629. A descendant of these early colonists, named Abijah, who was a tailor, removed from Salem to Windham early in the eighteenth century. His son Samuel, born about 1719, in company with his son, John, came to Norwich in 1765. They cleared an island in the Connecticut River, opposite the present residency of John W. Loveland, and planted it with … Read more

Biography of C. F. Lutes

C. F. Lutes. The largest hand glass plant west of the Mississippi River is that of the Fredonia Window Glass Company, located at Fredonia, Kansas. The president and general manager of this enterprise, C. F. Lutes, had been connected with the glass industry ever since entering upon his career, and is a man of experience, resource and energy, who, since coming to Kansas in 1904, had occupied a position of importance among the business men of Fredonia. The success of the company with which he is identified, and its allied interests at Caney, Kansas and Okmulgee, Oklahoma, must be accredited … Read more

Slave Narrative of George Taylor Burns

Interviewer: Lauana Creel Person Interviewed: George Taylor Burns Location: Evansville, Indiana Ex-Slave Stories District #5 Vanderburgh County Lauana Creel THE LIFE STORY OF GEORGE TAYLOR BURNS [HW: Personal Interview] Ox-carts and flat boats, and pioneer surroundings; crowds of men and women crowding to the rails of river steamboats; gay ladies in holiday attire and gentleman in tall hats, low cut vests and silk mufflers; for the excursion boats carried the gentry of every area. A little negro boy clung to the ragged skirts of a slave mother, both were engrossed in watching the great wheels that ploughed the Mississippi river … Read more

What comes next are records of crystals, not part of the entry:
____________
[1]
# PBE+U Li9V6P16O58, relaxed
data_Li9V6P16O58
_chemical_formula_sum 'Li9 V6 P16 O58'
_cell_length_a 9.771
_cell_length_b 9.804
_cell_length_c 14.110
_cell_angle_alpha 90.00
_cell_angle_beta 90.15
_cell_angle_gamma 119.87
_symmetry_space_group_name_H-M 'P 1'
_symmetry_Int_Tables_number 1
loop_
_symmetry_equiv_pos_as_xyz
'x,y,z'
loop_
_atom_site_label
_atom_site_type_symbol
_atom_site_fract_x
_atom_site_fract_y
_atom_site_fract_z
_atom_site_occupancy
Li1 Li 0.000 0.000 0.000 1
Li2 Li 0.000 0.419 0.494 1
Li3 Li 0.143 0.566 0.000 1
Li4 Li 0.144 0.007 0.495 1
Li5 Li 0.241 0.333 0.421 1
Li6 Li 0.552 0.422 0.000 1
Li7 Li 0.554 0.564 0.497 1
Li8 Li 0.897 0.664 0.320 1
Li9 Li 0.923 0.246 0.880 1
V1 V 0.233 0.897 0.687 1
V2 V 0.242 0.768 0.189 1
V3 V 0.661 0.328 0.188 1
V4 V 0.668 0.767 0.687 1
V5 V 0.799 0.334 0.684 1
V6 V 0.800 0.901 0.188 1
P1 P 0.004 0.013 0.779 1
P2 P 0.011 0.424 0.280 1
P3 P 0.145 0.017 0.281 1
P4 P 0.146 0.563 0.782 1
P5 P 0.316 0.103 0.097 1
P6 P 0.317 0.640 0.599 1
P7 P 0.454 0.246 0.598 1
P8 P 0.463 0.645 0.098 1
P9 P 0.549 0.558 0.282 1
P10 P 0.553 0.421 0.780 1
P11 P 0.569 0.003 0.309 1
P12 P 0.569 0.999 0.804 1
P13 P 0.902 0.668 0.562 1
P14 P 0.903 0.665 0.065 1
P15 P 0.916 0.246 0.097 1
P16 P 0.924 0.107 0.597 1
O1 O 0.020 0.130 0.695 1
O2 O 0.026 0.116 0.516 1
O3 O 0.026 0.333 0.188 1
O4 O 0.027 0.349 0.369 1
O5 O 0.048 0.822 0.604 1
O6 O 0.051 0.664 0.111 1
O7 O 0.133 0.712 0.756 1
O8 O 0.133 0.853 0.268 1
O9 O 0.147 0.989 0.770 1
O10 O 0.156 0.593 0.270 1
O11 O 0.218 0.100 0.372 1
O12 O 0.220 0.094 0.013 1
O13 O 0.223 0.580 0.875 1
O14 O 0.225 0.538 0.518 1
O15 O 0.241 0.127 0.194 1
O16 O 0.249 0.549 0.698 1
O17 O 0.312 0.073 0.600 1
O18 O 0.316 0.797 0.609 1
O19 O 0.317 0.671 0.098 1
O20 O 0.323 0.950 0.116 1
O21 O 0.417 0.851 0.260 1
O22 O 0.418 0.992 0.757 1
O23 O 0.433 0.318 0.697 1
O24 O 0.435 0.336 0.518 1
O25 O 0.437 0.547 0.196 1
O26 O 0.462 0.544 0.373 1
O27 O 0.463 0.553 0.015 1
O28 O 0.484 0.247 0.096 1
O29 O 0.491 0.674 0.597 1
O30 O 0.492 0.352 0.873 1
O31 O 0.553 0.987 0.413 1
O32 O 0.559 0.142 0.265 1
O33 O 0.562 0.988 0.909 1
O34 O 0.573 0.853 0.756 1
O35 O 0.574 0.415 0.270 1
O36 O 0.578 0.589 0.763 1
O37 O 0.610 0.245 0.605 1
O38 O 0.615 0.804 0.114 1
O39 O 0.712 0.706 0.271 1
O40 O 0.713 0.001 0.264 1
O41 O 0.715 0.432 0.756 1
O42 O 0.719 0.148 0.767 1
O43 O 0.747 0.661 0.601 1
O44 O 0.749 0.518 0.104 1
O45 O 0.757 0.238 0.116 1
O46 O 0.768 0.949 0.608 1
O47 O 0.852 0.852 0.758 1
O48 O 0.861 0.437 0.270 1
O49 O 0.892 0.247 0.597 1
O50 O 0.898 0.081 0.096 1
O51 O 0.905 0.676 0.456 1
O52 O 0.906 0.818 0.103 1
O53 O 0.911 0.522 0.598 1
O54 O 0.914 0.664 0.959 1
O55 O 0.974 0.987 0.270 1
O56 O 0.981 0.414 0.774 1
O57 O 0.989 0.082 0.871 1
O58 O 0.994 0.336 0.008 1
# Energy relative to the elements in eV per atom: -2.5937
# Spin magnetization in μB per cell: 3.00
# Distance to the lowest polymorph of the same formula in meV per atom: 0.0
# Energy in eV/atom: -7.03

[2]
# PBE+U MgMn6O8F4, relaxed
____________

Biography of A. N. Bain

A. N. Bain, proprietor of the Charleston Foundry, Charleston; was born in Erie Co., Ohio, April 3, 1828; his father was a ship-carpenter, with a family of nine children; at the age of 14, Mr. Bain began working on a farm, which he continued until the spring of 1845, when he entered the Mad River & Lake Erie Railroad shop at Sandusky, Ohio, as an apprentice, remaining there until 1852, and thoroughly mastering the machinist’s trade. He then went to New Albany, Ind., where he was married, Feb. 3, 1853, to Miss Catharine Caldwell, of that city, who was born … Read more

Biographical Sketch of H. C. Watson

H. C. Watson, time-keeper and clerk M. M. L & St. L. shops, Mattoon; was born in New Madrid, New Madrid Co., Mo., July 27, 1827; his father was a Scotchman and was one of the early Western pioneers, having come West as early as 1805. Having obtained a good common school education, in 1844, he became a student in Prof. J. B. Anderson’s high school, in New Albany, Ind.; this he attended one year; in 1845, he attended St. Vincent’s College at Cape Girardeau; in 1848, he matriculated in Bethany College, Va., and remained one year; on his return … Read more

Slave Narrative of Nancy Whallen

(Materials data that have nothing to do with the article)
____________
Entry 1:
Density functional theory data (PBE) for an optimized crystal structure of ThNi.

abc: 4.2803 5.7034 14.1187
angles: 90.00 90.00 90.00
With the nearest neighbours (Å) after each atom.
Atoms (fractional coordinates):
Th 0.2500 0.7478 0.0346  7 Ni 2.91-3.06
Th 0.7500 0.2522 0.9654  7 Ni 2.91-3.06
Th 0.2500 0.7522 0.5346  7 Ni 2.91-3.06
Th 0.2500 0.9633 0.7847  7 Ni 2.91-3.05
Th 0.7500 0.0367 0.2153  7 Ni 2.91-3.05
Th 0.7500 0.2478 0.4654  7 Ni 2.91-3.06
Th 0.7500 0.4633 0.7153  7 Ni 2.91-3.05
Th 0.2500 0.5367 0.2847  7 Ni 2.91-3.05
Ni 0.2500 0.0311 0.3544  2 Ni 2.71, 6 Th 2.91-3.00
Ni 0.7500 0.7439 0.8951  2 Ni 2.71, 6 Th 2.91-3.00
Ni 0.7500 0.9689 0.6456  2 Ni 2.71, 6 Th 2.91-3.00
Ni 0.7500 0.7561 0.3951  2 Ni 2.71, 6 Th 2.91-3.00
Ni 0.2500 0.2561 0.1049  2 Ni 2.71, 6 Th 2.91-3.00
Ni 0.7500 0.5311 0.1456  2 Ni 2.71, 6 Th 2.91-3.00
Ni 0.2500 0.2439 0.6049  2 Ni 2.71, 6 Th 2.91-3.00
Ni 0.2500 0.4689 0.8544  2 Ni 2.71, 6 Th 2.91-3.00

Computed properties:
Calculated volume = 21.54 Å³/atom
DFT total energy = -7.029 eV per atom
ΔE_f = -0.432 eV per atom

Entry 2:
Density functional theory data (PBE) for an optimized crystal structure of NdDy3.

abc: 6.2010 6.2010 6.2010
angles: 131.84 131.84 70.48
With the nearest neighbours (Å) after each atom.
Atoms (fractional coordinates):
Dy 0.5000 0.5000 0.0000  4 Nd 3.58, 8 Dy 3.58
Dy 0.2500 0.7500 0.5000  8 Dy 3.58, 4 Nd 3.58
Dy 0.7500 0.2500 0.5000  8 Dy 3.58, 4 Nd 3.58
Nd 0.0000 0.0000 0.0000  12 Dy 3.58

Computed properties:
Calculated volume = 32.42 Å³/atom
Offset from the most stable computed form = 0.0045 eV per atom
DFT total energy = -4.624 eV per atom
ΔE_f = 0.023 eV per atom

Entry 3:
Density functional theory data (PBE) for an optimized crystal structure of PaCd.

abc: 3.1158 3.1158 5.7769
angles: 90.00 90.00 120.00
With the nearest neighbours (Å) after each atom.
Atoms (fractional coordinates):
Pa 0.0000 0.0000 0.0000  6 Pa 3.12, 6 Cd 3.40
Cd 0.3333 0.6667 0.5000  6 Cd 3.12, 6 Pa 3.40

Computed properties:
Calculated volume = 24.28 Å³/atom
DFT total energy = -5.147 eV per atom
ΔE_f = 0.072 eV per atom

Entry 4:
Density functional theory data (PBE) for an optimized crystal structure of TbB2Os.

abc: 5.3404 5.9266 6.3911
angles: 90.00 90.00 90.00
With the nearest neighbours (Å) after each atom.
Atoms (fractional coordinates):
Tb 0.7500 0.9902 0.6639  6 B 2.63-2.70
Tb 0.7500 0.4902 0.8361  6 B 2.63-2.70
Tb 0.2500 0.0098 0.3361  6 B 2.63-2.70
Tb 0.2500 0.5098 0.1639  6 B 2.63-2.70
Os 0.7500 0.8237 0.1806  6 B 2.24-2.29
Os 0.2500 0.6763 0.6806  6 B 2.24-2.29
Os 0.7500 0.3237 0.3194  6 B 2.24-2.29
Os 0.2500 0.1763 0.8194  6 B 2.24-2.29
B 0.0828 0.8640 0.9604  2 B 1.79-1.91
B 0.4172 0.3640 0.5396  2 B 1.79-1.91
B 0.9172 0.1360 0.0396  2 B 1.79-1.91
B 0.5828 0.6360 0.4604  2 B 1.79-1.91
B 0.5828 0.1360 0.0396  2 B 1.79-1.91
B 0.0828 0.3640 0.5396  2 B 1.79-1.91
B 0.4172 0.8640 0.9604  2 B 1.79-1.91
B 0.9172 0.6360 0.4604  2 B 1.79-1.91

Computed properties:
Calculated volume = 12.64 Å³/atom
____________

Interviewer: Iris L. Cook Person Interviewed: Nancy Whallen Location: New Albany, Indiana Age: 81 Place of Residence: 924 Pearl St., New Albany, Indiana Iris L Cook District #4 Floyd County SLAVE STORY STORY OF NANCY WHALLEN 924 Pearl St. New Albany, Ind. Nancy Whallen is now about 81 years of age. She doesn’t know exactly. She was about 5 year of age when Freedom was declared. Nancy was born and raised in Hart County near Hardinsburg, Kentucky. She is very hard to talk to as her memory is failing and she can not hear very well. The little negro girl … Read more

Slave Narrative of Alex Woodson

Interviewer: Iris Cook Person Interviewed: Alex Woodson Location: New Albany, Indiana Place of Birth: Woodsonville, Hart County, Kentucky, Age: 80-85 Place of ResidenceL 905 E. 4th St., New Albany, Indiana Iris Cook Dist 4 Floyd Co. SLAVE STORY THE STORY OF ALEX WOODSON 905 E. 4th St. New Albany, Ind. Observation of Writer Alex Woodson is an old light skinned darkey, he looks to be between 80 and 85, it is hard to tell his age, and colored folks hardly ever do know their correct age. I visited him in his little cottage and had a long talk with him … Read more

Slave Narrative of George Morrison

### Records of crystals from another source follow
- - -
Arrangement 1

The following is a DFT calculation (PBE with a Hubbard U) of an optimized crystal structure of Mg2Mn3O8.

Cell lengths 5.813, 5.812, 4.944 Å; angles 76.79, 103.21, 120.31 degrees
Fractional positions:
Mg1 0.285 0.715 0.378
Mg2 0.715 0.285 0.622
Mn1 0.000 0.000 0.500
Mn2 0.258 0.258 0.000
Mn3 0.742 0.742 0.000
O1 0.102 0.898 0.887
O2 0.111 0.341 0.619
O3 0.659 0.889 0.619
O4 0.394 0.606 0.089
O5 0.606 0.394 0.911
O6 0.341 0.111 0.381
O7 0.889 0.659 0.380
O8 0.898 0.102 0.112

---

Arrangement 2

The following is a DFT calculation (PBE with a Hubbard U) of an optimized crystal structure of Mg2Mn3O8.

Cell lengths 5.849, 5.849, 9.391 Å; angles 90.00, 90.00, 120.00 degrees
Fractional positions:
Mg1 0.667 0.333 0.025
Mg2 0.333 0.667 0.525
Mg3 0.667 0.333 0.419
Mg4 0.333 0.667 0.919
Mn1 0.671 0.835 0.246
Mn2 0.835 0.165 0.746
Mn3 0.165 0.329 0.246
Mn4 0.835 0.671 0.746
Mn5 0.329 0.165 0.746
Mn6 0.165 0.835 0.246
O1 0.840 0.160 0.144
O2 0.680 0.840 0.644
O3 0.160 0.320 0.644
O4 0.840 0.680 0.144
O5 0.320 0.160 0.144
O6 0.160 0.840 0.644
O7 0.519 0.481 0.864
O8 0.037 0.519 0.364
O9 0.481 0.963 0.364
O10 0.519 0.037 0.864
O11 0.000 0.000 0.351
O12 0.000 0.000 0.851
O13 0.333 0.667 0.136
O14 0.963 0.481 0.864
O15 0.481 0.519 0.364
O16 0.667 0.333 0.636

---

Which of them is the least stable? Correct choice: arrangement 2.

---

Arrangement 1

The following is a DFT calculation (PBE with a Hubbard U) of an optimized crystal structure of MgMn6P6O24.

Cell lengths 8.979, 8.715, 8.820 Å; angles 110.95, 106.37, 105.70 degrees
Fractional positions:
Mg1 0.108 0.881 0.749
Mn1 0.052 0.449 0.263
Mn2 0.229 0.046 0.455
Mn3 0.730 0.956 0.542
Mn4 0.547 0.770 0.914
Mn5 0.480 0.283 0.057
Mn6 0.929 0.513 0.753
P1 0.591 0.399 0.783
P2 0.098 0.261 0.884
P3 0.863 0.080 0.290
P4 0.299 0.894 0.073
P5 0.792 0.576 0.391
P6 0.361 0.786 0.579
O1 0.408 0.292 0.642
O2 0.894 0.631 0.594
O3 0.929 0.592 0.314
O4 0.424 0.805 0.060
O5 0.292 0.317 0.937
O6 0.751 0.975 0.083
O7 0.547 0.904 0.635
O8 0.305 0.964 0.257
O9 0.998 0.055 0.747
O10 0.275 0.645 0.378
O11 0.753 0.083 0.395
O12 0.987 0.998 0.342
O13 0.349 0.687 0.696
O14 0.255 0.903 0.612
O15 0.963 0.278 0.334
O16 0.714 0.708 0.380
O17 0.716 0.339 0.710
O18 0.114 0.763 0.920
O19 0.052 0.374 0.793
O20 0.653 0.379 0.293
O21 0.653 0.605 0.843
O22 0.334 0.044 0.009
O23 0.619 0.368 0.952
O24 0.054 0.294 0.046

---

Arrangement 2

The following is a DFT calculation (PBE with a Hubbard U) of an optimized crystal structure of MgMn6P6O24.

Cell lengths 8.580, 8.877, 8.931 Å; angles 107.24, 110.44, 105.43 degrees
Fractional positions:
Mg1 0.418 0.596 0.199
Mn1 0.051 0.462 0.295
Mn2 0.280 0.073 0.427
Mn3 0.805 0.942 0.552
Mn4 0.540 0.763 0.915
Mn5 0.446 0.212 0.031
Mn6 0.881 0.538 0.786
P1 0.554 0.371 0.768
P2 0.063 0.294 0.921
P3 0.916 0.099 0.289
P4 0.283 0.851 0.063
P5 0.771 0.577 0.407
P6 0.397 0.798 0.547
O1 0.351 0.289 0.623
O2 0.838 0.636 0.606
O3 0.933 0.605 0.364
O4 0.383 0.726 0.055
O5 0.273 0.351 0.022
- - -
### Back to the article

Interviewer: Iris Cook Person Interviewed: George Morrison Location: New Albany, Indiana Place of Residence: 25 East 5t., New Albany, Indiana Place of Birth: Union County, Kentucky Iris Cook District 4 Floyd County STORY OF GEORGE MORRISON 25 East 5th St., New Albany, Ind. Observation of the writer (This old negro, known as “Uncle George” by the neighbors, is very particular about propriety. He allows no woman in his house unless accompanied by a man. He says “It jest a’nt the proper thing to do”, but he came to a neighbors for a little talk.) “I was bawn in Union County, … Read more